Listing.
Structure and calculated XRD peak list of Si5Rh4 (a crystal structure in Alexandria, relaxed with PBE; Cu Kα X-rays).

Atomic structure:
a b c (Å): 5.981 3.549 12.422
angles (deg): 90.00 100.02 90.00
Positions (direct):
Si1 0.012 0.250 0.077
Si2 0.034 0.250 0.776
Si3 0.138 0.750 0.636
Si4 0.394 0.750 0.423
Si5 0.479 0.250 0.139
Si6 0.521 0.750 0.861
Si7 0.606 0.250 0.577
Si8 0.862 0.250 0.364
Si9 0.966 0.750 0.224
Si10 0.988 0.750 0.923
Rh1 0.200 0.250 0.500
Rh2 0.214 0.250 0.270
Rh3 0.292 0.250 0.950
Rh4 0.393 0.250 0.727
Rh5 0.607 0.750 0.273
Rh6 0.708 0.750 0.050
Rh7 0.786 0.750 0.730
Rh8 0.800 0.750 0.500

Main lines, sorted by position (10° ≤ 2θ ≤ 80°):
- 24.29 deg, intensity 14.6
- 29.20 deg, intensity 30.3
- 29.38 deg, intensity 100.0
- 39.90 deg, intensity 12.4
- 41.48 deg, intensity 12.6
- 42.99 deg, intensity 43.6
- 43.83 deg, intensity 62.5
- 44.45 deg, intensity 16.1
- 45.46 deg, intensity 32.3
- 46.38 deg, intensity 14.6
- 47.79 deg, intensity 16.1
- 51.51 deg, intensity 27.3



Structure and calculated XRD peak list of Cs2ThSe3 (a crystal structure in Alexandria, relaxed with PBE; Cu Kα X-rays).

Atomic structure:
a b c (Å): 7.994 7.994 8.862
angles (deg): 98.91 98.91 119.84
Positions (direct):
Cs1 0.000 0.000 0.000
Cs2 0.151 0.849 0.500
Cs3 0.500 0.500 0.500
Cs4 0.849 0.151 0.500
Th1 0.332 0.668 0.000
Th2 0.668 0.332 0.000
Se1 0.068 0.460 0.197
Se2 0.324 0.324 0.809
Se3 0.460 0.068 0.197
Se4 0.540 0.932 0.803
Se5 0.676 0.676 0.191
Se6 0.932 0.540 0.803

Main lines, sorted by position (10° ≤ 2θ ≤ 80°):
- 10.50 deg, intensity 27.0
- 21.08 deg, intensity 17.1
- 23.32 deg, intensity 34.2
- 26.24 deg, intensity 51.5
- 26.43 deg, intensity 100.0
- 33.51 deg, intensity 10.8
- 36.16 deg, intensity 36.2
Exercise.
Next, find "Cs2 0.151" and "intensity 10.8" in the contents further up, and retype these two lines and those between.
Solution.
Cs2 0.151 0.849 0.500
Cs3 0.500 0.500 0.500
Cs4 0.849 0.151 0.500
Th1 0.332 0.668 0.000
Th2 0.668 0.332 0.000
Se1 0.068 0.460 0.197
Se2 0.324 0.324 0.809
Se3 0.460 0.068 0.197
Se4 0.540 0.932 0.803
Se5 0.676 0.676 0.191
Se6 0.932 0.540 0.803

Main lines, sorted by position (10° ≤ 2θ ≤ 80°):
- 10.50 deg, intensity 27.0
- 21.08 deg, intensity 17.1
- 23.32 deg, intensity 34.2
- 26.24 deg, intensity 51.5
- 26.43 deg, intensity 100.0
- 33.51 deg, intensity 10.8